**Entries:**
-- begin --
Record 1
The following is a meta-GGA SCAN calculation of a PBEsol-optimized structure of ErTc2, from the Alexandria database.

- DFT formation energy (eV per atom) = -0.304
- symmetry = P6_3/mmc
- magnetic moment (Bohr magnetons per cell) = 0.00
- total energy (eV per atom) = -40.4572
- crystal system = hexagonal

a b c (Å): 5.275 5.275 8.712
angles (deg): 90.00 90.00 120.00
Positions (direct):
Er: 0.333 0.667 0.437
Er: 0.667 0.333 0.937
Er: 0.667 0.333 0.563
Er: 0.333 0.667 0.063
Tc: 0.342 0.171 0.250
Tc: 0.829 0.171 0.250
Tc: 0.171 0.342 0.750
Tc: 0.000 0.000 0.000
Tc: 0.000 0.000 0.500
Tc: 0.171 0.829 0.750
Tc: 0.829 0.658 0.250
Tc: 0.658 0.829 0.750

---

Record 2
The following is a meta-GGA SCAN calculation of a PBEsol-optimized structure of Nd3OsO7, from the Alexandria database.

- symmetry = Cmcm
- magnetic moment (Bohr magnetons per cell) = 6.00
- total energy (eV per atom) = -25.3245
- formation energy without anion corrections (eV per atom) = -2.939
- crystal system = orthorhombic

a b c (Å): 6.578 6.578 7.510
angles (deg): 90.00 90.00 111.63
Site moments in Bohr magnetons follow the coordinates.
Positions (direct):
Os: 0.500 0.500 0.000  1.93
Os: 0.500 0.500 0.500  1.93
Nd: 0.471 0.916 0.250  0.02
Nd: 0.000 0.000 0.500  0.01
Nd: 0.000 0.000 0.000  0.01
Nd: 0.916 0.471 0.250  0.02
Nd: 0.529 0.084 0.750  0.02
Nd: 0.084 0.529 0.750  0.02
O: 0.583 0.583 0.250  0.14
O: 0.439 0.187 0.040  0.14
O: 0.897 0.159 0.750  0.01
O: 0.417 0.417 0.750  0.14
O: 0.841 0.103 0.250  0.01
O: 0.813 0.561 0.960  0.14
O: 0.103 0.841 0.250  0.01
O: 0.561 0.813 0.540  0.14
O: 0.813 0.561 0.540  0.14
O: 0.561 0.813 0.960  0.14
O: 0.187 0.439 0.040  0.14
O: 0.439 0.187 0.460  0.14
O: 0.159 0.897 0.750  0.01
O: 0.187 0.439 0.460  0.14

---

Record 3
The following is a meta-GGA SCAN calculation of a PBEsol-optimized structure of NiOs2AuCl, from the Alexandria database.

- symmetry = P4/mmm
- magnetic moment (Bohr magnetons per cell) = 6.45
- total energy (eV per atom) = -45.0829
- formation energy without anion corrections (eV per atom) = 2.331
- crystal system = tetragonal

a b c (Å): 4.646 4.906 4.906
angles (deg): 90.00 90.00 90.00
Site moments in Bohr magnetons follow the coordinates.
Positions (direct):
Au: 0.000 0.000 0.000  0.22
Cl: 0.500 0.500 0.500  0.15
Os: 0.000 0.500 0.000  2.11
Os: 0.000 0.000 0.500  2.11
Ni: 0.500 0.000 0.000  1.18

---

Record 4
The following is a meta-GGA SCAN calculation of a PBEsol-optimized structure of TiGaS3, from the Alexandria database.

- symmetry = Pm-3m
- magnetic moment (Bohr magnetons per cell) = 1.22
- total energy (eV per atom) = -12.2521
- formation energy without anion corrections (eV per atom) = 0.000
- crystal system = cubic

a b c (Å): 4.574 4.574 4.574
angles (deg): 90.00 90.00 90.00
Site moments in Bohr magnetons follow the coordinates.
Positions (direct):
Ti: 0.500 0.500 0.500  1.57
S: 0.000 0.500 0.000  -0.14
S: 0.500 0.000 0.000  -0.14
S: 0.000 0.000 0.500  -0.14
Ga: 0.000 0.000 0.000  0.01

---

Record 5
The following is a meta-GGA SCAN calculation of a PBEsol-optimized structure of Zr3N2O3, from the Alexandria database.

- symmetry = Cmc2_1
- magnetic moment (Bohr magnetons per cell) = 0.00
- total energy (eV per atom) = -19.0587
- offset from the most stable computed form (eV/f.u.) = 0.48
- formation energy without anion corrections (eV per atom) = -2.887
- crystal system = orthorhombic

a b c (Å): 3.954 5.702 10.727
angles (deg): 90.00 90.00 110.29
Positions (direct):
N: 0.708 0.416 0.075
N: 0.952 0.903 0.386
N: 0.048 0.097 0.886
N: 0.292 0.584 0.575
Zr: 0.135 0.271 0.440
Zr: 0.185 0.370 0.749
Zr: 0.815 0.630 0.249
Zr: 0.865 0.729 0.940
Zr: 0.862 0.725 0.555
Zr: 0.138 0.275 0.055
O: 0.957 0.914 0.117
O: 0.308 0.617 0.919
O: 0.756 0.511 0.759
O: 0.043 0.086 0.617
O: 0.692 0.383 0.419
O: 0.244 0.489 0.259

---

Record 6
The following is a meta-GGA SCAN calculation of a PBEsol-optimized structure of MgIn2, from the Alexandria database.

- DFT formation energy (eV per atom) = -0.050
-- stop --
**Exercise:**
Search the block further up for the word "offset" and type out each line that has it.
**Outcome:**
- offset from the most stable computed form (eV/f.u.) = 0.48